City of Spokane

Spokane Municipal Code

Between two parts of the page: records of crystals =
Structure and simulated X-ray powder pattern of Ba2GePbSe4 (a structure optimized by DFT (PBE); a wavelength of 1.5418 Å).

Principal peaks in the range 2θ from 10° to 90°, sorted by position:
| 2θ/deg | Rel. int. |
| --- | --- |
| 24.33 | 13 |
| 28.16 | 100 |
| 40.24 | 63 |
| 40.31 | 12 |
| 47.60 | 8 |
| 49.80 | 14 |
| 49.90 | 13 |
| 58.24 | 12 |
| 65.91 | 28 |
| 66.00 | 5 |
| 73.10 | 13 |
| 73.24 | 11 |

Structure:
Cell lengths 8.949, 8.975, 12.672 Å; angles 90.00, 90.00, 90.00 degrees
Space group Imma (No. 74)
One atom of each set of equivalent atoms:
Ba: 0.000 0.000 0.000 (multiplicity 4)
Ba: 0.250 0.250 0.250 (multiplicity 4)
Ge: 0.000 0.000 0.500 (multiplicity 4)
Pb: 0.250 0.250 0.750 (multiplicity 4)
Se: 0.000 0.009 0.737 (multiplicity 8)
Se: 0.226 0.250 0.505 (multiplicity 8)

Title 17E
Chapter 17E.060
Section 17E.060.300

Title 17E Environmental Standards

Chapter 17E.060 Shoreline Regulations

Article IV. Shoreline Permits and Exemptions

Section 17E.060.300 Uses, Modifications, and Developments Exempt or Excepted from Shoreline Substantial Development Permit Requirement
  1. Application and Interpretation of Exemptions.
    1. Exemptions shall be construed narrowly. Only those uses, modifications, or developments that meet the precise terms of one or more of the listed exemptions may be exempt from the shoreline substantial development permit process.
    1. An exemption from the shoreline substantial development permit process is not an exemption from compliance with the Shoreline Management Act or provisions of these shoreline regulations, or from any other regulatory requirements. To be authorized, all uses, modifications, and developments must be consistent with the policies and regulations of the entire SMP and the Act.
    1. Pursuant to WAC 173-27-160, a use, modification, or development that is listed as a shoreline conditional use pursuant to these shoreline regulations or is an unlisted use, must obtain a shoreline conditional use permit even though the use, modification, or development does not require a shoreline substantial development permit.
    1. When a use, modification, or development is proposed that does not comply with the bulk, dimensional and performance standards of these shoreline regulations, such use, modification, or development can only be authorized by approval of a shoreline variance pursuant to SMC 17E.060.330, Shoreline Variance Permit, and SMC 17E.060.340, Procedures.
    1. The burden of proof that a development or use is exempt from the permit process is on the applicant.
    1. If any part of a proposed use, modification, or development is not eligible for exemption, then a shoreline substantial development permit is required for the entire proposed project.
    1. All permits or statements of exemption issued for a use, modification, or development within the shoreline jurisdiction shall include written findings approved by the director, including compliance with bulk and dimensional standards and policies and regulations of the entire SMP. The director may attach conditions to the approval of exempt uses, modifications, or developments as necessary to assure consistency of the project with the Act and these shoreline regulations.
    1. The department of ecology must approve all exemptions requiring permits from the U.S. Army Corps of Engineers section 10 permit under the Rivers and Harbors Act, and any project involving a section 404 permit under the Clean Water Act.
    1. Use, modifications, and developments proposed within the shoreline jurisdiction may require permits from other governmental agencies other than the department of ecology.
  1. Exemptions.

The following shall not be considered substantial development and are exempt from obtaining a shoreline substantial development permit from the director:

    1. Any use, modification, or development of which the total cost or fair market value, whichever is higher, does not exceed seven thousand forty seven dollars ($7,047) as of September 2, 2017 or the adjusted amount per WAC 173-27-040 determined by the office of financial management periodically for inflation, if such use, modification, or development does not materially interfere with the normal public use of the water or shorelines of the state. The total cost or fair market value of the use, modification, or development shall include the fair market value of any donated, contributed, or found labor, equipment, or materials.
    1. Normal maintenance or repair of existing structures or developments, including damage by accident, fire or elements. “Normal maintenance” means those usual acts to prevent a decline, lapse, or cessation from a lawfully established state comparable to its original condition, including but not limited to its size, shape, configuration, location, and external appearance, within twelve months after decay or partial destruction, except where repair causes substantial adverse effects to shoreline resources or environment. Replacement of a structure or development may be authorized as repair where such replacement is the common method of repair for the type of structure or development and the replacement structure or development is comparable to the original structure or development including but not limited to its size, shape, configuration, location and external appearance and the replacement does not cause substantial adverse effects to shoreline resources or environment.
    1. Construction of the normal protective bulkhead common to single-family residences. A “normal protective bulkhead” means those structural and nonstructural developments installed at or near, and parallel to, the ordinary high-water mark for the sole purpose of protecting an existing single-family residence and appurtenant structures from loss or damage by erosion. A normal protective bulkhead is not exempt if constructed for the purpose of creating dry land. When a vertical wall is being constructed or reconstructed, not more than one cubic yard of fill per one foot of wall may be used as backfill. When an existing bulkhead is being repaired by construction of a vertical wall fronting the existing wall, it shall be constructed no further waterward of the existing bulkhead than is necessary for construction of new footings. When a bulkhead has deteriorated such that an ordinary high-water mark has been established by the presence and action of water landward of the bulkhead, then the replacement bulkhead must be located at or near the actual ordinary high-water mark. Beach nourishment and bioengineered erosion control projects may be considered a normal protective bulkhead when any structural elements are consistent with the above requirements and when the project has been approved by the State department of fish and wildlife.
    1. Emergency construction necessary to protect property from damage by the elements. An emergency means an unanticipated and imminent threat to public health, safety or the environment which requires immediate action within a time too short to allow full compliance with these shoreline regulations. Emergency construction does not include development of new permanent protective structures where none previously existed. Where new protective structures are deemed by the director to be the appropriate means to address the emergency situation, upon abatement of the emergency situation the new structure shall be removed or any permit which would have been required, absent an emergency, pursuant to chapter 90.58 RCW or these shoreline regulations shall be obtained. All emergency construction shall be consistent with the policies of chapter 90.58 RCW and the entire SMP. As a general matter, flooding or other seasonal events that can be anticipated and may occur but that are not imminent are not an emergency.
    1. Construction and practices normal or necessary to maintain existing farming and irrigation activities, including agricultural service roads and utilities in the Latah Creek shoreline jurisdiction presently zoned for agricultural use.
    1. Construction or modification, by or under the authority of the coast guard or a designated port management authority, of navigational aids such as channel markers and anchor buoys.
    1. Construction on shorelands by an owner, lessee, or contract purchaser of a single-family residence for their own use or for the use of their family, which residence does not exceed a height of thirty-five feet above average grade level and which meets all requirements of the state agency having jurisdiction thereof or the City of Spokane, other than requirements imposed pursuant to chapter 90.58 RCW. “Single-family residence” means a detached dwelling designed for and occupied by one family including those structures and developments within a contiguous ownership which are normal appurtenance. An “appurtenance” is necessarily connected to the use and enjoyment of a single-family residence and is located landward of the ordinary high-water mark and the perimeter of a wetland. On a statewide basis, normal appurtenances include a garage, deck, driveway, utilities, fences, and grading which does not exceed two hundred fifty cubic yards and which does not involve placement of fill in any wetland or waterward of the ordinary high-water mark. Construction authorized under this exemption shall be located landward of the ordinary high-water mark.
    1. Construction of a dock, including a community dock, designed for pleasure craft only, for the private noncommercial use of the owner, lessee, or contract purchaser of single-family and multiple-family residences. A dock is a landing and moorage facility for watercraft and does not include recreational decks, storage facilities, or other appurtenances. This exemption applies if either:
      1. In fresh waters the fair market value of the dock does not exceed:
        1. Twenty-two thousand five hundred dollars ($22,500) for docks that are constructed to replace existing docks, are of equal or lesser square footage than the existing dock being replaced; or
        1. Eleven thousand two hundred ($11,200) dollars for all other docks constructed in fresh waters.

However, if subsequent construction occurs within five years of completion of the prior construction, and the combined fair market value of the subsequent and prior construction exceeds the amount specified above, the subsequent construction shall be considered a substantial development for the purpose of this chapter.

    1. Operation, maintenance, or construction of canals, waterways, drains, reservoirs, or other facilities that now exist or are hereafter created or developed as a part of an irrigation system for the primary purpose of making use of system waters, including return flow and artificially stored groundwater for the irrigation of lands.
    1. The marking of property lines or corners on state-owned lands, when such marking does not significantly interfere with normal public use of the surface of the water.
    1. Operation and maintenance of any system of dikes, ditches, drains, or other public facilities existing on September 8, 1975, which were created, developed, or utilized primarily as a part of an agricultural drainage or diking system.
    1. Any project with a certification from the governor pursuant to chapter 80.50 RCW.
    1. Site exploration and investigation activities that are prerequisite to preparation of an application for development authorization under these shoreline regulations if:
      1. the activity does not interfere with the normal public use of the surface waters;
      1. the activity will have no significant adverse impact on the environment, including but not limited to fish, wildlife, fish or wildlife habitat, water quality, and aesthetic values;
      1. the activity does not involve the installation of any structure and, upon the completion of the activity, the vegetation and land configuration of the site are restored to conditions existing before the activity;
      1. a private entity seeking development authorization under this section first posts a performance bond or provides other evidence of financial responsibility to the City of Spokane to ensure that the site will be restored to preexisting conditions; and
      1. the activity is not subject to the permit requirements of RCW 90.58.550.
    1. The process of removing or controlling aquatic noxious weeds, as defined in RCW 17.26.020, through the use of an herbicide or other treatment methods applicable to weed control that are recommended by a final environmental impact statement published by the department of agriculture or the department of ecology jointly with other state agencies under chapter 43.21C RCW.
    1. Watershed restoration projects as defined in chapter 17A.020 SMC and RCW 89.08.460. The City of Spokane shall review the projects for consistency with these shoreline regulations pursuant to procedures in chapter 17G.060 SMC. No fee may be charged for accepting and processing requests for exemption for watershed restoration projects as used in this section.
    1. A public or private project that is designed to improve fish or wildlife habitat or fish passage when all of the following apply:
      1. The project has been approved in writing by the department of fish and wildlife.
      1. The project has received hydraulic project approval (HPA) by the department of fish and wildlife pursuant to chapter 77.55 RCW; and
      1. The City of Spokane has determined that the project is substantially consistent with these shoreline regulations. The City shall make such determination and provide it by letter to the project proponent.
    1. All other uses, modifications, and developments exempted by WAC 173-27-040.
  1. Exceptions

Developments not required to obtain shoreline permits or local reviews. Requirements to obtain a Substantial Development Permit, Conditional Use Permit, Variance, letter of exemption, or other review to implement the Shoreline Management Act do not apply to the following:

    1. Remedial actions. Pursuant to RCW 90.58.355, any person conducting a remedial action at a facility pursuant to a consent decree, order, or agreed order issued pursuant to chapter 70.105D RCW, or to the department of ecology when it conducts a remedial action under chapter 70.105D RCW.
    1. Boatyard improvements to meet NPDES permit requirements. Pursuant to RCW 90.58.355, any person installing site improvements for storm water treatment in an existing boatyard facility to meet requirements of a national pollutant discharge elimination system storm water general permit.
    1. WSDOT facility maintenance and safety improvements. Pursuant to RCW 90.58.356, Washington State Department of Transportation projects and activities meeting the conditions of RCW 90.58.356 are not required to obtain a Substantial Development Permit, Conditional Use Permit, Variance, letter of exemption, or other local review.
    1. Projects consistent with an environmental excellence program agreement pursuant to RCW 90.58.045.
    1. Projects authorized through the Energy Facility Site Evaluation Council process, pursuant to chapter 80.50 RCW.

Date Passed: Monday, April 19, 2021

Effective Date: Sunday, May 23, 2021

ORD C36034 Section 6

October 19, 2024